Monday, August 04, 2008


In my younger days, I felt completely independent and thought I knew what was best in my life. And, so what if I was wrong about some decision? After all it was my life to make or mess up. But, then I got married and soon we had a new son. Because of these loved ones in my life, I began to realize that my personal decisions extended to the help or hurt of others who were important to me. Of course, I was only just beginning to recognize a truth that had always been true. My decisions always impacted others, I just lacked enough love to perceive how much I could hurt my siblings, parents, and friends.

I reached out day after day
to a people who turned their backs on me,
People who make wrong turns,
who insist on doing things their own way.
(Isaiah 65:2)

There are some who are embarrassed about some of their past actions. So now, pride tends to hold them back from fellowship. Some have chosen to become "too busy" to be involved in spiritual growth activities. A person like this may be sacrificing his family on the altar of his pride. Except for the grace of God, pride will have its own way. May God have mercy on him and help him to have the love to see the truth that we are all sinners and have all done things that we are now ashamed of.

(Attached: calculated molecules)
Entry 1:
The following is a DFT calculation (ωB97M-V with the def2-TZVPD basis set) of the molecule C4H8O3.

Last column: Mulliken charge in e.
Positions of all 15 atoms, in Å:
1 C -2.4181 0.1321 -0.4921  -0.6324
2 O -1.6146 0.1391 0.6771  -0.3630
3 C -0.2767 -0.0313 0.6044  0.6119
4 O 0.3082 0.6020 -0.4568  -0.3589
5 C 0.3722 -0.7029 1.5559  -0.7794
6 C 1.5774 0.1054 -0.8576  -0.4653
7 O 2.6304 0.3781 0.0119  -0.5024
8 H -2.2688 -0.7720 -1.0949  0.3005
9 H -3.4479 0.1413 -0.1246  0.2391
10 H -2.2488 1.0190 -1.1093  0.2538
11 H 1.4488 -0.6548 1.6240  0.3498
12 H -0.1990 -1.2244 2.3114  0.2596
13 H 1.5279 -0.9852 -0.9250  0.4602
14 H 1.7474 0.5592 -1.8389  0.3055
15 H 2.8656 1.3122 -0.0439  0.3209

Atoms 1-6, force components in eV/Å:
C -0.1 0.0 -0.2
O 0.2 0.1 0.1
C 0.1 -0.2 0.2
O -0.1 0.0 0.1
C 0.0 0.0 0.0
C 0.0 -0.2 -0.3

The calculation puts the orbital gap at 0.343 hartree. The spin multiplicity is 1. As for the charge: 0.


Entry 2:
The following is a DFT calculation (ωB97M-V with the def2-TZVPD basis set) of a structure of composition C31H41N5O5ReS2.

Last column: Mulliken charge in e.
Positions of all 85 atoms, in Å:
1 Re 11.3419 12.9419 13.6777  0.5561
2 C 12.6430 12.2302 20.7077  -1.3399
3 C 11.2065 12.5253 20.1090  1.6173
4 C 10.2572 11.3990 20.7028  -1.8289
5 C 10.8727 13.9070 20.6679  -1.4521
6 C 11.1855 12.6429 18.6242  0.1049
7 C 12.0926 13.5327 18.0093  -1.0754
8 C 12.1521 13.7719 16.6807  -0.6959
9 N 11.3243 13.0888 15.8702  0.1654
10 C 10.4772 12.0876 16.3949  0.4340
11 C 10.3728 11.8876 17.7797  -0.2429
12 C 9.7567 11.3411 15.4203  -0.2138
13 C 8.7031 10.5355 15.7984  -0.4892
14 C 8.1648 9.6375 14.8862  0.8615
15 C 8.7211 9.5486 13.6015  -1.0895
16 C 9.7863 10.3698 13.2890  -0.6816
17 N 10.1759 11.3756 14.1110  0.1988
18 C 7.0568 8.7133 15.2907  1.7413
19 C 7.6728 7.5641 16.1194  -1.3685
20 C 5.9101 9.3359 16.0510  -1.6862
21 C 6.3276 8.1303 14.0116  -1.7340
22 H 12.5664 12.0927 21.8219  0.4242
23 H 13.3042 13.1242 20.4712  0.3016
24 H 13.1466 11.3262 20.3028  0.3369
25 H 10.3658 11.3745 21.8080  0.4130
26 H 10.4878 10.3949 20.2719  0.4091
27 H 9.1824 11.6641 20.5232  0.3540
28 H 10.7575 13.9325 21.7724  0.3981
29 H 9.9347 14.2674 20.2445  0.3685
30 H 11.6456 14.6450 20.3639  0.3740
31 H 12.7576 14.1914 18.5827  0.3344
32 H 12.8936 14.4510 16.2602  0.6880
33 H 9.7219 11.1186 18.1342  0.8588
34 H 8.4088 10.7970 16.7998  0.3776
35 H 8.5299 8.7095 12.9366  0.3474
36 H 10.2456 10.2866 12.3249  0.7002
37 H 8.4460 7.9541 16.8290  0.2794
38 H 8.1901 6.8836 15.4206  0.3895
39 H 6.9021 6.9427 16.6404  0.3829
40 H 6.2803 9.7742 17.0162  0.3235
41 H 5.1425 8.6127 16.3227  0.5123
42 H 5.4484 10.1663 15.4849  0.3852
43 H 6.9722 7.3736 13.5255  0.3809
44 H 6.0407 8.9002 13.2416  0.3961
45 H 5.3260 7.7096 14.2236  0.3791
46 S 8.3329 15.5501 14.8317  0.0388
47 C 9.7802 16.4914 14.6959  -0.3513
48 C 10.6932 15.8161 13.8698  -0.5584
49 N 10.2907 14.5176 13.5183  0.4470
50 C 8.9853 14.3336 13.8488  -0.2242
51 H 9.8299 17.5488 15.0261  0.4507
(The calculated molecules stop here)

Other men are constantly tempted to make the "things that are seen" into important goals, projects and priorities. We want bigger buildings, nicer cars, prettier women, higher pay and better seats in the arena. And, please don't bother us with words about knowing God or spreading God's Kingdom. We're too busy and too proud. Solomon carried these kind of goals to the extreme and found only -- "smoke".

King Solomon had incredible wisdom and was able to organize huge projects, judge difficult cases and compose proverbs to guide others. He is even the writer of a few books in the Bible. Yet, his incredible personal wisdom was not sufficient to sustain him for his whole life. He failed to continue to seek to know God's ways, God's priorities and God's love. As a result, Solomon experienced the frustration expressed in Ecclesiastes. Which of us is wiser than Solomon and, therefore, no longer need to seek God? The "wisdom" of man doing things his own way has destroyed so many families, nations, and churches.

Look at that man, bloated by self-importance— full of himself but soul-empty.
But the person in right standing before God through loyal and steady believing is fully alive, really alive. (Habakkuk 2:4)

### Next to the piece, the page also holds quantum chemistry results
1.
C4H10O2 | ωB97M-V/def2-TZVPD

XYZ file:
```
16
Properties=species:S:1:pos:R:3:mulliken_charge:R:1
O -1.9865 -0.4037 -0.4608 -0.582
C -0.9928 0.2351 -0.0575 0.802
C -0.5018 1.4343 -0.7800 -1.232
C -0.7301 -1.5546 1.7302 -1.034
C -0.2613 -0.1370 1.2449 -0.383
H -0.7284 1.4421 -1.8595 0.329
H 0.5700 1.6561 -0.6439 0.304
H -1.0904 2.2288 -0.2912 0.321
H -0.4662 -1.8257 2.7663 0.343
H -0.1789 -2.2172 1.0419 0.270
H -1.8113 -1.7204 1.5877 0.279
H -0.5138 0.6146 2.0173 0.303
H 0.8389 -0.1375 1.1226 0.279
O 2.7916 0.3180 -2.1650 -0.632
H 3.2289 -0.0814 -2.9507 0.315
H 1.8321 0.1484 -2.3022 0.319
```

ΔE to the lowest compared entry with this formula, charge and spin, kJ/mol: 71.3
Charge: 0
Max |F|, eV Å⁻¹: 3.0

2.
C28H28N | ωB97M-V/def2-TZVPD

XYZ file:
```
57
Properties=species:S:1:pos:R:3:mulliken_charge:R:1
C 1.0062 -1.6113 3.1649 -0.389
C 0.6767 -0.5482 4.0639 1.090
C -0.4389 -0.6500 4.9154 -0.297
C -0.7611 0.3739 5.7748 -0.797
C 0.0132 1.5206 5.8174 -0.320
C 1.1192 1.6431 4.9973 -0.830
C 1.4479 0.6275 4.1347 -0.386
C 2.0288 -1.5541 2.2408 -0.121
C 2.3768 -2.5727 1.3770 -0.433
C 3.4663 -2.5204 0.4532 1.018
C 3.7105 -3.5870 -0.4325 -0.434
C 4.7688 -3.5465 -1.3112 -0.658
C 5.6136 -2.4493 -1.3345 -0.350
C 5.3948 -1.3862 -0.4769 -0.768
C 4.3395 -1.4187 0.4014 -0.348
H 0.4209 -2.5126 3.2134 0.385
H -1.0410 -1.5425 4.8847 0.392
H -1.6206 0.2849 6.4192 0.406
H -0.2428 2.3203 6.4914 0.414
H 1.7296 2.5317 5.0351 0.414
H 2.3208 0.7315 3.5167 0.407
H 2.5821 -0.6392 2.1773 0.169
H 1.7898 -3.4712 1.4116 0.405
H 3.0554 -4.4418 -0.4194 0.389
H 4.9445 -4.3708 -1.9859 0.407
H 6.4448 -2.4232 -2.0200 0.407
H 6.0546 -0.5321 -0.4925 0.406
H 4.1883 -0.5904 1.0680 0.379
C -2.1148 -6.8058 0.4946 -0.595
C -2.6896 -6.4839 1.8977 -0.559
C -2.7013 -4.9454 2.0051 -0.630
N -2.5370 -4.4117 0.6332 -0.024
C -2.3989 -3.0261 0.3863 0.984
C -2.3078 -2.0839 1.3505 -1.058
C -1.9806 -0.7537 0.7421 -0.572
C -1.9194 -1.0280 -0.7325 0.013
C -2.2166 -2.3792 -0.9276 0.229
C -2.3331 -2.8780 -2.2186 -0.345
C -2.0932 -2.0377 -3.2872 -0.854
C -1.7531 -0.7101 -3.0866 -0.456
C -1.6770 -0.1931 -1.8064 -0.659
C -1.8563 -5.4439 -0.1804 -0.247
H -1.1953 -7.4031 0.5578 0.297
H -2.8232 -7.4060 -0.0928 0.282
H -3.7045 -6.8894 2.0067 0.249
H -2.0910 -6.9429 2.6968 0.326
H -3.6298 -4.5600 2.4404 0.443
H -1.8665 -4.5877 2.6183 0.080
H -2.3847 -2.2888 2.4033 0.648
H -2.7518 -0.0082 0.9702 0.330
H -1.0222 -0.3725 1.1127 0.130
H -2.6398 -3.8930 -2.3880 0.476
H -2.1746 -2.4185 -4.2920 0.409
H -1.5613 -0.0732 -3.9354 0.407
H -1.4349 0.8417 -1.6420 0.459
H -0.7886 -5.2027 -0.2068 0.170
H -2.2307 -5.4191 -1.2047 0.110
```

Electronic energy, eV: -30972.88653
Charge: +1
Max |F|, eV Å⁻¹: 1.9

3.
C20H60O20 | ωB97M-V/def2-TZVPD

XYZ file:
```
100
Properties=species:S:1:pos:R:3:mulliken_charge:R:1
C -2.6816 -18.6842 18.2090 0.475
C -1.4518 -19.5145 17.8545 -0.573
O -1.8804 -20.4755 16.8594 -0.392
O -2.2313 -17.4005 18.6369 -0.564
H -3.2357 -19.2396 18.9703 0.360
H -3.3105 -18.5071 17.3389 -0.396

Let's move closer to God and start giving a little more time, maybe 5 or 10 minutes, every day reading His Word, seeking His priorities and knowing His love. Incredibly, the Creator, the King of Kings is reaching out to us. The great I AM is inviting each of us into a deeper relationship with Him while Pride calls us to trust ourselves. Who are we listening to?

1 comment:

  1. I keep thinking about Jesus' definition of eternal life in John 17 which is to know God and Jesus Christ whom He sent. Now that is really living!
